Extracts from “Rural Life in Victorian England” by G.E. Mingay, Futura Publications 1979. Copyright 1976 Land Humphries publishers Ltd.
Inserted here: data records:
=====
The following is a DFT calculation (GGA-PBE) of crystalline Si2Ni2Os at its relaxed geometry.

The space group is P4/mbm (No. 127) and the conventional cell measures 6.459, 6.459 and 2.896 Å, with angles of 90.00, 90.00 and 90.00 degrees. The inequivalent atoms are Si at (0.148, 0.352, 0.000), Ni at (0.143, 0.643, 0.500) and Os at (0.000, 0.000, 0.000).

The value obtained for the formation energy from raw total energies is -0.290 eV per atom. The value obtained for the density is 10.00 g cm⁻³. As for the total magnetization: 0.00 μB/cell.

~~~~~

Below is a geometry-optimized HgTe3 structure, with properties calculated at the PBE level.

The value obtained for the calculated total energy is -2.28 eV per atom.

Lattice parameters (Å, degrees): 8.655 8.655 3.047 90.00 90.00 139.93
Each line ends with the local moment (μB).
Positions (direct):
Hg  0.000  0.000  0.000  0.00
Te  0.000  0.500  0.500  0.00
Te  0.500  0.000  0.500  0.00
Te  0.500  0.500  0.000  0.17

***

Below is a geometry-optimized ThZn3AgAu structure, with properties calculated at the PBE level.

As for the formation energy: -183 meV/atom.

Lattice parameters (Å, degrees): 5.137 5.649 8.912 108.48 90.00 90.00
Positions (direct):
Th  0.750  0.337  0.673
Th  0.250  0.663  0.327
Zn  0.250  0.093  0.186
Zn  0.000  0.273  0.000
Zn  0.500  0.727  0.000
Zn  0.500  0.273  0.000
Zn  0.000  0.727  0.000
Zn  0.750  0.907  0.814
Ag  0.250  0.859  0.718
Ag  0.750  0.141  0.282
Au  0.250  0.249  0.497
Au  0.750  0.751  0.503

***

Below is a geometry-optimized Li2CoIr structure, with properties calculated at the PBE level.

The calculation puts the energy above the most stable polymorph in this dataset at 11.1 kJ/mol of atoms. As for the formation energy: 50 meV/atom.

Lattice parameters (Å, degrees): 4.190 3.501 3.501 90.00 90.00 90.00
Each line ends with the local moment (μB).
Positions (direct):
Co  0.500  0.500  0.000  1.73
Ir  0.500  0.000  0.500  0.59
Li  0.000  0.000  0.000  -0.03
Li  0.000  0.500  0.500  -0.03

***

Below is a geometry-optimized Rh3AuS structure, with properties calculated at the PBE level.

The calculation puts the energy above the most stable polymorph in this dataset at 161.6 kJ/mol of atoms.

Lattice parameters (Å, degrees): 4.894 4.894 4.894 90.00 90.00 90.00
Each line ends with the local moment (μB).
Positions (direct):
Rh  0.000  0.500  0.000  1.20
Rh  0.000  0.000  0.500  1.38
Rh  0.500  0.000  0.000  0.80
S  0.500  0.500  0.500  0.29
Au  0.000  0.000  0.000  0.23

~~~~~

The following is a PBE calculation of a geometry-optimized MgSc2Pd structure, from the Alexandria database.

Cell: 7.840 7.840 5.787 Å, 90.00 90.00 90.00°
Space group I-42d (No. 122)
One atom of each set of equivalent atoms:
1 Mg 0.000 0.000 0.000 (multiplicity 4)
2 Sc 0.199 0.250 0.625 (multiplicity 8)
3 Pd 0.000 0.000 0.500 (multiplicity 4)

Output
density of states at the Fermi level: 4.679 states/eV/f.u.
E: -5.0277 eV per atom
total moment: 0.003 Bohr magnetons per cell
=====
[p72/73] “The first men to arrive for work at the beginning of the day were the carters and milkers. They had to be up while the moon still cast a shadow, and at four or five made an early start on feeding the stock and preparing the teams for work before the day labourers came on the scene at six or seven. The carters generally ate their breakfast in the stable, while the milkers, having completed their first work of the day, might go back to their cottages for some hot tea by the fire. The milkers advantage was offset by the conditions in which the milking was often done, squatting on a three-legged stool, in the middle of a puddle in a draughty yard after having brought in the hay through the mud and wet of the fields. The carters often left off work before the day labourers in order to get the horses back and make a start on their feeding and grooming, On the other hand the carter might have to be up in the very early hours if there was an extra load to be taken to the mill or fertilizer to be fetched from a town some miles away. Then he was on the road by two, walking on the near side of the wagon, whip in hand, in his smock and his breeches tied up with whipcord, and a boy or under-carter with him to help… …to load and unload. In severe weather the teams might not go out for fear of poaching the soil, but the horses, like the cattle, had to be fed and attended to every day of the year, holidays not excepted. The extra shilling or two which the carter received at the end of the week hardly compensated for his extra hours and lack of holidays. The shepherds, too, had no regular hours but might be about their flocks at all times of day and night, especially in the lambing season. Perhaps the best-off of the farmworkers was the single day labourer. He enjoyed the shortest hours and the least responsibility, and had his money, little as it was, to himself.
Monotony was the main characteristic of the labourer’s day in the fields, and of course he was always exposed to sun, wind, rain and snow. He might have to walk a mile or two from his cottage, and arrived at work in wet clothes which had to be kept on till he got home. The women engaged in field work were equally exposed to the elements, though their numbers were gradually falling off. Already by the 1880s it was becoming fairly rare to see women at field work in the winter, although some helped tend the threshing machine, spread manure in the meadows – hard, unpleasant work this – or sat long hours in a corner of the field trimming roots from a newly-opened clamp.
[p86] …in the pastoral North it was still common for the farmworker to live in the farmhouse with his master, sharing his table, and sleeping in a garret in the roof.
[p92] Labourers’ usual hours were from six to six in summer with an hour and a half off for meals, and from seven or first light to dusk in winter. Farm servants put in extra hours fetching hay, preparing teams, and tending to the horses and cows, often starting at four or five a.m. These tasks had to be done every day of the week, and Sunday work occupied three or four hours. Whether day labourers were paid in bad weather was a variable matter. In long periods of snow or frost they might not be required at all, but on the occasional days of heavy rain they were often employed in the barn at threshing or other jobs. Part of Sunday, and meal hours in the week if the allotment were handy, would be spent in raising vegetables, but often the allotment or potato ground was as much as a mile or more off and many hours were spent in tramping to and fro.“